Feb 25, 2006

whodunit..... sequel-1

### Data records, as found in the file
┌──
276
Properties=species:S:1:pos:R:3:forces:R:3 method="wB97M-V/def2-TZVPD" homo_ev=-8.0 mol_weight_g_mol=2116.00 multiplicity=1 e_tot_ha=-11682.3532 largest_force_ha_per_bohr=0.069
C -10.785 -23.843 -12.638 -0.5 1.2 0.0
C -11.571 -23.278 -11.468 -0.8 0.3 -1.1
C -12.798 -24.142 -11.219 0.0 0.3 -0.2
C -13.646 -23.646 -10.110 1.0 0.1 1.2
N -14.201 -24.805 -9.351 0.1 -0.8 1.9
C -14.957 -24.271 -8.136 -0.3 0.8 0.3
C -14.111 -24.445 -6.878 -0.9 1.1 -0.6
C -13.490 -25.746 -7.179 2.2 -0.3 0.6
C -13.077 -25.650 -8.650 0.3 -0.4 -0.5
C -15.068 -25.799 -10.049 -1.5 0.4 -0.4
C -16.198 -25.154 -10.871 0.6 0.6 -0.3
C -17.031 -26.244 -11.491 0.5 -0.2 0.4
H -9.819 -23.401 -12.657 1.1 0.3 -0.1
H -11.222 -23.660 -13.625 -0.2 -0.1 0.2
H -10.714 -24.879 -12.487 0.4 -1.6 -0.1
H -11.859 -22.235 -11.692 0.0 -0.3 0.2
H -10.964 -23.274 -10.578 0.4 0.0 0.5
H -12.495 -25.138 -10.954 0.5 -0.7 -0.1
H -13.439 -24.267 -12.068 -0.1 0.0 -0.9
H -14.369 -22.864 -10.399 -0.2 -0.9 0.7
H -12.947 -23.258 -9.342 -0.5 0.5 -0.3
H -15.732 -24.996 -8.066 -1.1 0.1 0.4
H -15.321 -23.240 -8.244 0.2 -0.5 -0.7
H -14.802 -24.491 -6.029 0.2 0.1 0.0
H -13.449 -23.602 -6.731 0.3 0.1 0.0
H -14.242 -26.447 -6.959 -0.9 -1.5 -0.3
H -12.650 -25.984 -6.482 -0.2 0.1 -0.8
H -12.869 -26.636 -9.164 -0.7 1.2 0.5
H -12.185 -25.035 -8.770 0.1 -0.1 0.3
H -15.558 -26.412 -9.255 0.6 0.4 -0.6
H -14.479 -26.486 -10.650 0.3 0.3 -0.3
H -15.873 -24.474 -11.666 0.7 -0.3 0.1
H -16.824 -24.458 -10.308 0.0 -0.4 0.6
H -17.804 -25.804 -12.077 -0.6 0.1 -0.7
H -17.483 -26.800 -10.694 -0.6 -0.5 0.5
H -16.441 -26.948 -12.083 0.1 0.3 -0.2
C -16.345 -21.066 -11.019 1.0 -0.1 -0.5
O -16.791 -21.959 -12.185 0.6 0.7 2.2
O -16.098 -21.679 -9.904 -0.6 0.2 0.0
C -15.021 -20.465 -11.598 -0.3 -1.6 -1.1
F -14.425 -19.558 -10.852 0.2 0.4 0.6
F -14.112 -21.503 -11.780 -0.2 0.9 -0.2
F -15.172 -19.922 -12.827 0.0 0.2 -0.1
C -18.139 -21.800 -12.502 -0.2 -0.5 -0.7
C -19.164 -22.866 -12.054 1.8 1.7 0.9
H -20.042 -22.587 -12.607 -0.7 -0.6 -0.2
H -18.741 -23.840 -12.208 -0.2 -0.6 -0.4
H -19.313 -22.730 -10.986 -0.3 -0.2 0.2
H -18.040 -21.906 -13.561 -0.9 0.4 -1.2
H -18.521 -20.800 -12.242 0.2 -0.1 -0.2
H -17.061 -20.201 -11.058 -0.1 -0.4 0.3
C -10.912 -21.486 -7.670 -0.4 0.8 0.5
C -10.723 -20.456 -6.495 1.9 0.1 -0.9
C -10.240 -19.103 -7.204 -2.0 -1.0 0.1
S -11.189 -19.093 -8.822 -0.1 -0.1 2.5
O -10.139 -19.192 -9.787 0.4 0.4 -1.5
O -12.268 -18.108 -8.870 1.3 -0.6 -0.2
C -11.894 -20.695 -8.576 0.4 -1.1 -0.4
H -11.379 -22.486 -7.488 0.4 0.9 0.5
H -9.905 -21.703 -8.079 -0.7 0.3 -0.3
H -9.865 -20.695 -5.833 -0.8 -0.3 -0.1
H -11.616 -20.313 -5.899 -0.1 0.1 -0.1
H -9.159 -19.076 -7.379 -0.4 0.0 -0.2
H -10.594 -18.254 -6.642 0.2 0.4 0.2
H -11.997 -21.207 -9.544 -0.3 0.5 0.1
H -12.855 -20.549 -8.060 0.2 -0.3 -0.3
C -14.882 -18.064 -5.140 -1.1 -1.4 -1.2
C -15.020 -18.054 -6.702 0.8 0.5 1.1
C -15.849 -19.255 -7.129 -0.5 -0.3 0.6
S -15.402 -20.583 -5.957 -2.1 1.5 1.9
O -14.543 -21.467 -6.644 2.0 -1.4 -1.0
O -16.526 -21.204 -5.252 0.5 0.8 -0.7
└──

Phew! Hmm... Thank God! Everything is fine now. Should call the cleaning lady to clean the bathroom and I need a deep sleep.
‘Charu I’m off to sleep, plz tell the cleaning lady to clean the bathroom when she comes’,
‘Yea alright….’

Around 11 am...

‘Sindhu..! Sindhu…!! Get up, ur dad’s phone, get up....’
‘hello, when did you reach Tirupathi? ‘
‘Sindhu! What’s this you are still sleeping, lazy bones?’
‘Sorry daddy, had some assignment to complete, so slept late yesterday night’
‘Ok, get up now, we reached Tirupathi and just checked into an hotel’
‘Oh! Is mom with u now?’
‘No sindhu, she’s in the hotel room, and listen if u need some money use mom’s debit card, ok then I’ll call tomorrow, bye beta....’
‘Bye daddy…’
‘Charu, what’s the time?’
‘Ok, do you want to eat something?’
‘ let’s go to udipi hotel’

After having brunch, we came back to our flat. By the time, we returned cleaning lady cleaned the bathroom, which was full of blood strains.
‘Sindhu, why don’t you stay with me tonight’
‘Yeah, let’s go’

At Charu's house..

‘Mom, Sindhu is staying here for tonight’
‘Oh, that’s fine…., Sindhu how r u feeling now’
‘Fine aunty’
‘Did u people eat something?’
‘We had dosa mom’

tingg tong…. Tinggg tonggg….’ Charu, see who’s there outside’
‘Its Avinash mom…, hello sir!’
‘Hi charu, ‘’sup, where u been?’
‘At sindhu’s house’
‘She’s in my room, come on in’

‘Hi Sindhu’
‘Hi Avi...’
‘Charu told me about what happened yesterday, how r u feeling now?’
‘Much better’
‘Hey, have u people completed preparation for tomorrow’s paper presentation at techno vocation’
‘Yeah, we have, what about you?’
‘Revision is required, ok then I’ll leave now and will come tomorrow morning at 7:30am…hey by the way I forgot to say, our presentation is at 11:30am not at 2:30pm, they changed the timings for few batches…… ok then bye girls’

After Avi vanished, Charu & I went out for ice-cream parlor. After returning to charu’s home, I went straight onto bed. Sleep is all I wanted now. At least I’ll be fresh for tomorrow’s event at college.

7am morning
tingg tong ..ting tong…..

‘Charu its Avinash, come on in beta.. .’
‘Avinash, just 10 mins yaar’
‘Charu listen come here’
‘I have an unconfirmed bit of news, but don’t know how serious its gonna be’
‘what’s the matter?’
‘I saw a e-mail from our college e-mail id account’
‘U know the password of the id, where did u get all this stuff from huh?’
‘Once I peeked into principal’s P.A diary, I know that’s a bad habit to check others diary, well I just saw on one of the pages of diary in which this password for the college e-mail id account was written.’
‘So, what u saw?’
‘There’s an e-mail from an anonymous id saying that," bombs are deployed in ur college, BEWARE."
‘Uh-huh, tell me u are that anonymous who sent the mail’
‘Oh come on charu, I’m serious.’
‘ok,ok, well may be someone might be playing pranks like u’
‘Guess who’s the chief guest for today’s event is’
‘We all know that, it’s CM’
‘NO…. he’s not coming, President of India is coming’
‘Hey u people out there, let’s start we’ll get late’
‘Yeah sindhu, let’s go Avi’

On the way to college, Charu told me about what Avi was saying and I couldn’t stop laughing at that. We reached college by 9:15am, very early for us. We came to know that President would be coming to college at 2:30pm in the meantime presentation will take place. We were walking towards cafeteria and I saw DCP Ram, he was not in uniform and beside him was SI Ali. President is coming so its obvious for their presence here.

‘Good morning DCP sir’
‘Hey sindhu, very good morning’
‘These are my friends Avinash, charu’
‘Good morning to both of u’
‘good morning sir’
‘Well, u came for President’s security purpose sir’
‘er.. well there was an explosion in ur college store room this morning at 6 am and apart from college authority no one knows about the incident, so we r here to investigate and as President is also coming.’

(to be continued)


  1. Well..can't say much. Did you name yourself pranky?? Btw, how many more sequels are you planning?

  2. now pranky!.. i definitely want a good speech by our President..

____________
1.
____________
The article goes on

  3. @sindhu, no more sequels except this

    @mystery, thxs

    @ylder, well wait for a googly!!

  4. What do you mean by no more sequels?? You have typed "To be continued" in the last line of the post!
